Droopy under-watered plants, yellow over-watered plants, is there any balance when it comes to gardening? Basil, my most beloved herb, is notoriously famous for telling me that I love it just a little too much with its sad yellow leaves. Meanwhile, my pathetic parsley is looking at me, saying feed me!
If your goal is not to kill everything in your garden, you probably ask the same question, as I often do, which is “how often should I water my plants in the heat of summer?” Ideally, most vegetables have been planted long enough to form some good roots to withstand the heat by the time the hotter summer months hit, but you certainly can’t rely on mother nature alone to feed your veggie babies.
Discover 7 top tips for growing, harvesting, and enjoying tomatoes from your home garden—when you access the FREE guide The Best Way to Grow Tomatoes, right now!
How often should I water my plants? Here’s your guide to summer watering for a killer garden.
The great thing about gardening secrets is that they aren’t very well-kept. When I first started gardening, I felt like I was always texting photos of my plants to my gardening friends, asking if my plants were overwatered, or underwatered, and got no shortage of stories, knowledge, experience, and even some science.
Before we get into the details, though, I have to give you some disappointing news: There is no set rule on watering plants. There are simply too many factors that play into the answer, from the type of soil you have, to the weather, to how established your garden is. That’s not to say there aren’t some good pointers out there. Here is what I’ve learned over the years.
- Plan your garden. Plan your garden in a way that groups dry-climate plants together and water-loving plants together. For example, rosemary and thyme come from drier Mediterranean climates, so don’t require as much water. Tomatoes, on the other hand, love, love, love water.
- Containers need lots of water. The soil in containers heats up and dries out much faster than the soil in the ground, so if you have a container garden, keep a close eye on them. You may need to water them twice a day in the height of summer.
- Pay attention to the weather. Plants get hot and thirsty just like we do. Hotter, drier weather will mean you need to water more often.
- Pay attention to the plants. Here’s where it might get a bit tricky. Some plants wilt and droop when they need water. You water them and they perk right back up. Others (tomatoes are a good example) don’t like these games. Split tomatoes happen because the plant dries out, then grows rapidly when they get water.
- Look at your soil. Does it look and feel dry? That’s a clear indicator that it’s time to water.
_Quantum chemistry results, kept here for reference_
1:
# CH8NO

A 2-piece molecular cluster, CH8NO overall (wB97M-V/def2-TZVPD, the Open Molecules 2025 dataset).

Kohn-Sham gap	0.38198	Ha
total charge	+1

XYZ file:
```
11
CH8NO (wB97M-V/def2-TZVPD)
C 0.000 0.000 0.000
N 1.000 -1.002 -0.230
H -0.112 0.058 1.096
H -0.972 -0.283 -0.439
H 0.280 0.998 -0.378
H 0.848 -1.926 0.223
H 1.880 -0.595 0.145
H 1.120 -1.155 -1.252
O -2.419 2.786 -0.366
H -3.251 2.261 -0.381
H -2.075 2.680 0.550
```


2:
# CH8NO

A 2-piece molecular cluster, CH8NO overall (wB97M-V/def2-TZVPD, the Open Molecules 2025 dataset).

Kohn-Sham gap	0.40709	Ha
total charge	+1

XYZ file:
```
11
CH8NO (wB97M-V/def2-TZVPD)
N -1.363 -1.199 -0.773
H -1.177 -1.035 -1.758
H -2.019 -1.970 -0.611
H -0.549 -1.261 -0.140
H -1.819 -0.330 -0.464
C 1.076 1.312 0.736
O 0.800 -0.059 0.391
H 0.408 1.961 0.192
H 0.898 1.461 1.788
H 2.129 1.539 0.607
H 1.616 -0.419 0.032
```


Most stable structure among those shown: 2. Next: +0.0056 hartree.
_Here the entry continues_
- Take advantage of mulch. A layer of mulch helps keep the soil moist, while still allowing airflow. Not just any mulch, though, as most bagged kinds are treated with chemicals. Some natural mulch includes hay, grass, leaves, and even pine needles. In fact, at my summer cabin in Vermont, I keep a small garden there too, and at first, I was annoyed that it was constantly covered in pine needles until I learned that pine needles help make the soil acidic, and plenty of my favorite veggies like acidic soil, like tomatoes, carrots, pumpkins, sweet peppers, cucumbers, cauliflower, and even garlic.
- Water more, less frequently. Most plants will grow deeper, stronger roots when you give them more water, but less often. Unless it’s especially hot, you may only need to water every two or three days this way.
- Try not to get the leaves wet. Damp leaves are an invitation to mold and disease. As much as possible, try to keep your watering to the ground so the roots get all that good, cool water. (Although some water to clean dust and dirt from the leaves is a good idea.) If you notice burned leaves, this can also happen from watering while the sun is out, the droplets on the leaves can magnify the heat of the sun.
- Water appropriately. Here’s a general rule of thumb: Larger and younger plants need more water. More established plants with deeper roots can get by with less.
- Water in the morning. If you water in the heat of the day, there’s a good chance the water will evaporate before it can really soak into the soil. By watering before the sun is at its most direct, you can water more efficiently, and any water on the leaves will have time to evaporate.
How often should I water my plants? Don’t miss this bonus tip
Water after it rains! Yeah, I know. The first time I heard this I was suspicious. Here’s the thing, if you only get a little bit of rain, and especially if the sun comes out afterward, that water won’t really soak in deep enough to offer many benefits. Take advantage of the already damp soil and add to it. Obviously, this doesn’t apply if you have a full day or weekend of rain, and watering at night is just asking for rot, so avoid that too.
• Attached: data records:
<<<
Formula: C40H98AsF6N5O4
Source: the OMol25 dataset
Level of theory: ωB97M-V/def2-TZVPD

```
154
Properties=species:S:1:pos:R:3:lowdin_charge:R:1
As 0.6941 -0.2311 0.6234 0.705
F -0.1753 -1.7200 0.5086 -0.246
F 2.0095 -1.0548 1.4043 -0.244
F 1.6220 1.2244 0.8204 -0.256
F -0.6372 0.5950 -0.1511 -0.253
F -0.0173 0.0953 2.1629 -0.245
F 1.4151 -0.4979 -0.9238 -0.243
C 0.3683 -3.0555 -2.9933 -0.044
C -0.7508 -4.0634 -3.1599 -0.134
N -0.3969 -5.5242 -2.7998 -0.270
C -0.1778 -5.5893 -1.3436 0.014
C -1.6208 -6.3371 -3.1716 -0.156
C -1.3979 -7.8334 -3.0863 -0.037
C 0.8463 -5.9394 -3.5164 -0.088
C 0.7499 -6.0270 -5.0282 -0.227
O 0.7478 -4.7655 -5.6131 -0.203
C 0.7957 -4.8560 -7.0470 -0.043
H 0.1209 -2.0312 -2.7199 0.066
H 0.8849 -2.9979 -3.9512 0.082
H 1.0537 -3.3610 -2.2029 0.069
H -1.1826 -4.0916 -4.1534 0.127
H -1.5752 -3.8753 -2.4669 0.101
H 0.0555 -6.6084 -1.0370 0.115
H -1.0085 -5.1439 -0.8111 0.112
H 0.7661 -5.0893 -1.1227 0.104
H -1.8877 -6.0736 -4.1918 0.130
H -2.4078 -5.9986 -2.4999 0.134
H -1.2406 -8.1824 -2.0704 0.089
H -0.6104 -8.1160 -3.7835 0.081
H -2.2616 -8.3634 -3.4899 0.105
H 1.1638 -6.9030 -3.1244 0.143
H 1.6454 -5.2263 -3.3222 0.137
H -0.1151 -6.6125 -5.3811 0.127
H 1.5957 -6.6440 -5.3666 0.149
H 0.7390 -3.8447 -7.4318 0.096
H -0.0597 -5.4462 -7.3877 0.099
H 1.7120 -5.3402 -7.3889 0.101
C 0.2537 1.3415 -3.2564 -0.044
C -1.2503 1.5299 -3.1851 -0.141
N -1.6751 2.9505 -2.7759 -0.249
C -1.1133 3.2947 -1.4421 0.007
C -1.0697 3.9212 -3.7714 -0.171
C -1.7775 5.2487 -3.9250 -0.057
C -3.1812 3.0483 -2.8021 -0.075
C -3.9557 2.2229 -1.7664 -0.189
O -3.9340 0.8219 -1.9359 -0.235
C -4.7817 0.3560 -3.0027 -0.043
H 0.6460 1.2985 -2.2480 0.049
H 0.6850 2.0673 -3.9401 0.085
H 0.4461 0.3670 -3.7084 0.091
H -1.6894 0.8344 -2.4767 0.112
H -1.7577 1.4136 -4.1439 0.135
H -1.2202 4.3729 -1.3297 0.112
H -0.0715 3.0037 -1.4317 0.098
H -1.6376 2.7986 -0.6381 0.072
H -0.9943 3.4284 -4.7402 0.141
H -0.0462 4.1176 -3.4578 0.131
H -1.9090 5.7893 -2.9875 0.087
H -2.7396 5.1521 -4.4260 0.090
H -1.1865 5.8850 -4.5835 0.105
H -3.4782 2.7496 -3.8050 0.141
H -3.4198 4.0796 -2.5595 0.133
H -4.9914 2.5778 -1.7699 0.144
H -3.5217 2.3933 -0.7813 0.108
H -4.4086 0.7480 -3.9470 0.087
H -5.8237 0.5838 -2.7821 0.103
H -4.6609 -0.7255 -2.9961 0.092
C 2.5298 4.1203 4.9321 -0.041
C 1.5653 3.6694 3.8436 -0.164
N 0.6685 4.7281 3.2596 -0.277
C 1.5202 5.8220 2.6865 0.043
C -0.1634 4.1274 2.1422 -0.160
C -1.0942 3.0272 2.5798 -0.054
C -0.1987 5.3113 4.3381 -0.081
C -1.3006 6.2986 3.9146 -0.224
O -2.3487 6.1844 4.8074 -0.161
C -2.8490 7.3588 5.4296 -0.059
H 3.4071 4.5985 4.4928 0.088
H 2.9017 3.2864 5.5214 0.098
H 2.0805 4.8189 5.6310 0.081
H 0.9289 2.9071 4.2886 0.119
H 2.0804 3.1737 3.0199 0.135
H 2.1730 5.3659 1.9458 0.120
H 2.1308 6.2330 3.4836 0.113
H 0.8670 6.5877 2.2816 0.115
H 0.5801 3.8316 1.3981 0.122
H -0.6725 4.9721 1.6871 0.112
H -1.2848 2.3372 1.7586 0.054
H -2.0624 3.4434 2.8838 0.081
H -0.8397 2.4212 3.4444 0.080
H 0.3935 5.7692 5.1254 0.134
H -0.6331 4.4722 4.8920 0.144
>>>
• End of the data records:
How often should I water my plants? Do these seem like good tips or would you add something? Share your ideas in the comments. Discover 7 top tips for growing, harvesting, and enjoying tomatoes from your home garden—when you access the FREE guide The Best Way to Grow Tomatoes, right now!
### Inserted here: data records
-- begin --
No. 1
Density functional theory data (the ωB97M-V functional and the def2-TZVPD basis) for one molecule with the formula C4H7NO2.

Properties
- Energy above the lowest of the compared OMol25 structures with the same formula, charge and spin: 1.3097 eV
- Multiplicity: 1
- HOMO-LUMO gap: 10.8 eV
- HOMO level: -9.850 eV

```
14
Properties=species:S:1:pos:R:3:forces:R:3
N 1.5501 0.8552 0.7125 -0.1 0.2 0.1
C 0.5855 0.1658 1.3940 0.0 0.0 0.0
O 0.1824 0.5012 2.4921 0.1 -0.1 -0.3
C 0.0702 -1.0710 0.6711 0.0 -0.1 0.1
C -0.7414 -0.7638 -0.5696 -0.1 -0.2 0.1
C -1.1141 0.5873 -0.9837 -0.2 0.2 0.1
O -0.0457 -0.1085 -1.6255 0.1 0.0 -0.2
H 1.7921 1.7638 1.0841 0.0 -0.2 -0.1
H 1.6344 0.7120 -0.2849 0.0 0.0 0.1
H -0.5417 -1.6281 1.3822 0.0 0.1 -0.1
H 0.9124 -1.7057 0.3682 -0.1 0.1 0.1
H -1.3908 -1.5776 -0.9015 0.2 0.1 0.0
H -0.8043 1.4408 -0.3829 -0.1 -0.1 -0.1
H -2.0061 0.7299 -1.5909 0.1 0.0 0.1
```
Forces are in eV/Å.



No. 2
Density functional theory data (the ωB97M-V functional and the def2-TZVPD basis) for a 2-piece molecular cluster, C4H14N2O overall at a distorted geometry.

Properties
- Energy above the lowest of the compared OMol25 structures with the same formula, charge and spin: 3.5954 eV
- Multiplicity: 1
- HOMO-LUMO gap: 8.9 eV
- HOMO level: -8.492 eV

```
21
Properties=species:S:1:pos:R:3:forces:R:3
C -0.4612 0.3210 -1.4596 1.7 -1.5 -2.8
N -1.0330 1.2730 -0.6139 -0.3 1.5 -0.2
C 0.0237 -0.9225 -0.7042 1.5 -0.1 0.2
C 0.3221 -0.6913 0.7998 0.2 1.8 -0.4
C 1.5083 0.3201 0.9674 0.0 -0.5 -1.9
N 2.6584 0.0483 0.0183 -0.7 -1.2 0.8
H 0.3313 0.7248 -2.1299 0.2 0.0 1.0
H -1.1359 -0.0137 -2.2613 -0.5 -0.4 0.1
H -1.6692 0.6843 -0.0916 -0.4 1.4 0.3
H -1.5673 1.8578 -1.2419 -0.3 0.5 0.4
H 0.9771 -1.2452 -1.1563 -0.4 0.0 0.0
H -0.6181 -1.7983 -0.8461 -0.4 -0.1 0.1
H 0.5100 -1.6702 1.2505 -0.2 0.3 0.4
H -0.5674 -0.1096 1.1948 1.7 -1.4 0.3
H 1.1072 1.2402 0.5242 0.0 0.1 0.9
H 1.8219 0.4275 2.0135 -0.2 0.0 -0.2
H 3.4642 0.5722 0.3273 0.2 -0.1 0.0
H 2.8949 -0.9618 0.0219 0.1 1.0 0.2
H -2.0526 -1.1287 -0.0111 -2.3 3.3 4.0
H -3.2533 -0.1053 1.0850 0.1 -1.0 -1.0
O -2.3416 -0.3438 0.8377 0.1 -3.7 -2.1
```
Forces are in eV/Å.



No. 3
Density functional theory data (the ωB97M-V functional and the def2-TZVPD basis) for one molecule with the formula C16H15BrN2O2 at a distorted geometry.

Properties
- Energy above the lowest of the compared OMol25 structures with the same formula, charge and spin: 1.9553 eV
- Multiplicity: 1
- HOMO-LUMO gap: 9.4 eV
- HOMO level: -9.078 eV

```
36
Properties=species:S:1:pos:R:3:forces:R:3
N -1.1075 3.8867 0.1724 0.2 0.3 0.0
C -0.9686 2.5423 0.0902 0.6 0.5 0.0
N 0.1473 1.9211 -0.0244 0.3 -0.9 -0.2
O 1.2837 2.7653 0.0283 -1.3 0.9 0.3
C 2.4688 2.1802 -0.2443 0.6 -0.4 -0.3
O 3.4536 2.8638 -0.1765 -0.2 -0.1 0.0
C 2.4485 0.7174 -0.6015 -0.1 0.1 0.1
C 2.2694 -0.1366 0.6666 0.0 0.0 -0.2
C 2.1370 -1.5880 0.3028 0.1 0.0 0.1
C 3.1848 -2.4759 0.5011 0.0 0.0 0.0
C 3.0565 -3.8079 0.1461 0.0 -0.1 0.0
C 1.8776 -4.2670 -0.4146 0.0 -0.1 0.0
-- stop --
### Here the text continues
Using water that’s had grass cuttings soaking in it works great for me!
My grandfather grew prize winning tomatoes in Winnipeg, Manitoba. He was careful to only use water that he kept in a barrel that he had allowed to warm up by the sun.